(Listing)
<<<
{"formula": "C18H17EuN", "method": "ωB97M-V/def2-TZVPD", "multiplicity": 8, "e_tot_ha": -1461.0235, "de_lowest_ev": 0.000, "total_charge": -2, "e_homo_ev": [1.294, 1.269], "s2": 15.76, "symbols": ["C", "C", "C", "C", "C", "Eu", "C", "C", "C", "N", "H", "H", "H", "H", "H", "H", "H", "H", "H", "H", "C", "C", "C", "C", "C", "C", "C", "C", "C", "C", "H", "H", "H", "H", "H", "H", "H"], "xyz": [[2.28580, -0.05773, -2.96536], [2.90749, 1.04949, -2.30530], [1.96471, 2.12553, -2.25850], [0.75523, 1.67961, -2.88288], [0.95291, 0.32721, -3.31331], [0.90677, 0.32843, -0.47794], [2.97330, -0.20605, 0.99999], [2.84551, -1.51644, 0.34228], [4.01352, -2.27425, 0.13672], [1.64933, -1.88807, -0.13227], [2.15192, 3.12265, -1.85624], [3.93086, 1.07124, -1.93327], [-0.14084, 2.27873, -3.04875], [0.23532, -0.28966, -3.85118], [2.75868, -1.01058, -3.19336], [3.84130, 0.39599, 0.70923], [1.60763, -2.80418, -0.59026], [2.55364, -0.06798, 1.99946], [4.94173, -1.85615, 0.49927], [3.96139, -3.26292, -0.30939], [-4.74582, 0.73360, 0.13675], [-3.71092, 0.77983, -0.81950], [-2.39825, 0.50600, -0.45199], [-2.07022, 0.20353, 0.90535], [-0.77034, 0.00344, 1.37652], [-0.46410, -0.39907, 2.63835], [-1.52566, -0.48841, 3.59741], [-2.82956, -0.21688, 3.22606], [-3.15105, 0.12400, 1.88337], [-4.46665, 0.40882, 1.46024], [-5.76962, 0.95217, -0.16373], [-3.94732, 1.03565, -1.85313], [-1.60100, 0.51828, -1.21598], [0.55820, -0.65244, 2.92731], [-1.29418, -0.77030, 4.62479], [-3.64462, -0.25985, 3.95597], [-5.26511, 0.37678, 2.20326]]}

{"formula": "C11H13NO2", "method": "ωB97M-V/def2-TZVPD", "multiplicity": 1, "e_tot_ha": -632.0469, "de_lowest_ev": 4.970, "total_charge": 0, "e_homo_ev": -8.320, "symbols": ["C", "C", "C", "C", "C", "C", "C", "C", "C", "C", "C", "H", "H", "H", "H", "H", "H", "H", "H", "H", "H", "H", "H", "H", "N", "O", "O"], "xyz": [[3.44978, -1.61924, 0.21553], [1.82373, -0.05048, -0.05224], [0.86070, -1.12074, 0.10519], [-0.48195, -0.83346, 0.17138], [-1.44570, -1.97584, 0.26308], [-2.59762, -1.74308, -0.50047], [-2.38385, 0.61194, 0.05714], [-2.84027, 1.96037, 0.45138], [-0.88531, 0.41423, 0.08535], [-0.04818, 1.61304, -0.05840], [1.31091, 1.27430, -0.02846], [2.79028, -1.86989, 1.16519], [3.41116, -2.18042, -0.87846], [4.59776, -1.46062, 0.47463], [1.00171, -2.14903, -0.13098], [-1.71143, -1.98359, 1.45980], [-0.84888, -2.88123, -0.05770], [-2.57240, -1.82286, -1.63667], [-3.42700, -2.33496, -0.20552], [-2.07421, 2.08307, 1.24288], [-3.92617, 1.96963, 0.89366], [-2.74244, 2.65041, -0.34977], [-0.48961, 2.57576, -0.54096], [3.25019, 1.79733, -0.32811], [-3.18729, -0.34852, -0.35293], [3.24285, -0.15680, -0.03992], [2.31698, 2.26427, -0.32186]]}
>>>
(Work order)
Repeat the material further up with every line break kept.
(Worked solution)
{"formula": "C18H17EuN", "method": "ωB97M-V/def2-TZVPD", "multiplicity": 8, "e_tot_ha": -1461.0235, "de_lowest_ev": 0.000, "total_charge": -2, "e_homo_ev": [1.294, 1.269], "s2": 15.76, "symbols": ["C", "C", "C", "C", "C", "Eu", "C", "C", "C", "N", "H", "H", "H", "H", "H", "H", "H", "H", "H", "H", "C", "C", "C", "C", "C", "C", "C", "C", "C", "C", "H", "H", "H", "H", "H", "H", "H"], "xyz": [[2.28580, -0.05773, -2.96536], [2.90749, 1.04949, -2.30530], [1.96471, 2.12553, -2.25850], [0.75523, 1.67961, -2.88288], [0.95291, 0.32721, -3.31331], [0.90677, 0.32843, -0.47794], [2.97330, -0.20605, 0.99999], [2.84551, -1.51644, 0.34228], [4.01352, -2.27425, 0.13672], [1.64933, -1.88807, -0.13227], [2.15192, 3.12265, -1.85624], [3.93086, 1.07124, -1.93327], [-0.14084, 2.27873, -3.04875], [0.23532, -0.28966, -3.85118], [2.75868, -1.01058, -3.19336], [3.84130, 0.39599, 0.70923], [1.60763, -2.80418, -0.59026], [2.55364, -0.06798, 1.99946], [4.94173, -1.85615, 0.49927], [3.96139, -3.26292, -0.30939], [-4.74582, 0.73360, 0.13675], [-3.71092, 0.77983, -0.81950], [-2.39825, 0.50600, -0.45199], [-2.07022, 0.20353, 0.90535], [-0.77034, 0.00344, 1.37652], [-0.46410, -0.39907, 2.63835], [-1.52566, -0.48841, 3.59741], [-2.82956, -0.21688, 3.22606], [-3.15105, 0.12400, 1.88337], [-4.46665, 0.40882, 1.46024], [-5.76962, 0.95217, -0.16373], [-3.94732, 1.03565, -1.85313], [-1.60100, 0.51828, -1.21598], [0.55820, -0.65244, 2.92731], [-1.29418, -0.77030, 4.62479], [-3.64462, -0.25985, 3.95597], [-5.26511, 0.37678, 2.20326]]}

{"formula": "C11H13NO2", "method": "ωB97M-V/def2-TZVPD", "multiplicity": 1, "e_tot_ha": -632.0469, "de_lowest_ev": 4.970, "total_charge": 0, "e_homo_ev": -8.320, "symbols": ["C", "C", "C", "C", "C", "C", "C", "C", "C", "C", "C", "H", "H", "H", "H", "H", "H", "H", "H", "H", "H", "H", "H", "H", "N", "O", "O"], "xyz": [[3.44978, -1.61924, 0.21553], [1.82373, -0.05048, -0.05224], [0.86070, -1.12074, 0.10519], [-0.48195, -0.83346, 0.17138], [-1.44570, -1.97584, 0.26308], [-2.59762, -1.74308, -0.50047], [-2.38385, 0.61194, 0.05714], [-2.84027, 1.96037, 0.45138], [-0.88531, 0.41423, 0.08535], [-0.04818, 1.61304, -0.05840], [1.31091, 1.27430, -0.02846], [2.79028, -1.86989, 1.16519], [3.41116, -2.18042, -0.87846], [4.59776, -1.46062, 0.47463], [1.00171, -2.14903, -0.13098], [-1.71143, -1.98359, 1.45980], [-0.84888, -2.88123, -0.05770], [-2.57240, -1.82286, -1.63667], [-3.42700, -2.33496, -0.20552], [-2.07421, 2.08307, 1.24288], [-3.92617, 1.96963, 0.89366], [-2.74244, 2.65041, -0.34977], [-0.48961, 2.57576, -0.54096], [3.25019, 1.79733, -0.32811], [-3.18729, -0.34852, -0.35293], [3.24285, -0.15680, -0.03992], [2.31698, 2.26427, -0.32186]]}